**Brief:**
Could you retype everything further down unchanged?
**Contents:**
~~~
Here is an optimized crystal structure of Mn5PbS6O24 from the Materials Project. Energies are from PBE+U.

The value obtained for the calculated total energy is -0.246 hartree per atom. Its symmetry is P-3, No. 147. As for the total magnetization: 0.698 μB per atom. The calculation puts the formation enthalpy at 0 K at -2026 meV per atom.

a = 14.861 Å, b = 14.861 Å, c = 7.612 Å
α = 90.00°, β = 90.00°, γ = 120.00°
Fractional coordinates of all 108 atoms:
Mn 0.000 0.000 0.000
Mn 0.003 0.348 0.966
Mn 0.003 0.681 0.453
Mn 0.319 0.322 0.453
Mn 0.322 0.003 0.547
Mn 0.333 0.667 0.498
Mn 0.345 0.997 0.966
Mn 0.348 0.345 0.034
Mn 0.652 0.655 0.966
Mn 0.655 0.003 0.034
Mn 0.667 0.333 0.502
Mn 0.678 0.997 0.453
Mn 0.681 0.678 0.547
Mn 0.997 0.319 0.547
Mn 0.997 0.652 0.034
Pb 0.000 0.000 0.500
Pb 0.333 0.667 0.002
Pb 0.667 0.333 0.998
S 0.097 0.870 0.757
S 0.108 0.570 0.740
S 0.130 0.227 0.757
S 0.206 0.440 0.257
S 0.227 0.097 0.243
S 0.235 0.794 0.257
S 0.430 0.538 0.740
S 0.440 0.235 0.743
S 0.462 0.892 0.740
S 0.538 0.108 0.260
S 0.560 0.765 0.257
S 0.570 0.462 0.260
S 0.765 0.206 0.743
S 0.773 0.903 0.757
S 0.794 0.560 0.743
S 0.870 0.773 0.243
S 0.892 0.430 0.260
S 0.903 0.130 0.243
O 0.032 0.455 0.744
O 0.041 0.121 0.796
O 0.043 0.787 0.886
O 0.057 0.833 0.575
O 0.080 0.620 0.601
O 0.080 0.959 0.796
O 0.091 0.302 0.761
O 0.108 0.614 0.916
O 0.120 0.754 0.238
O 0.121 0.080 0.204
O 0.135 0.409 0.408
O 0.154 0.443 0.091
O 0.167 0.224 0.575
O 0.212 0.909 0.761
O 0.213 0.256 0.886
O 0.214 0.586 0.707
O 0.224 0.057 0.425
O 0.246 0.366 0.238
O 0.251 0.704 0.288
O 0.256 0.043 0.114
O 0.274 0.865 0.408
O 0.289 0.846 0.091
O 0.296 0.547 0.288
O 0.302 0.212 0.239
O 0.366 0.120 0.762
O 0.372 0.786 0.707
O 0.380 0.460 0.601
O 0.386 0.494 0.916
O 0.409 0.274 0.592
O 0.414 0.628 0.707
O 0.423 0.968 0.744
O 0.443 0.289 0.909
O 0.453 0.749 0.288
O 0.455 0.423 0.256
O 0.460 0.080 0.399
O 0.494 0.108 0.084
O 0.506 0.892 0.916
O 0.540 0.920 0.601
O 0.545 0.577 0.744
O 0.547 0.251 0.712
O 0.557 0.711 0.091
O 0.577 0.032 0.256
O 0.586 0.372 0.293
O 0.591 0.726 0.408
O 0.614 0.506 0.084
O 0.620 0.540 0.399
O 0.628 0.214 0.293
O 0.634 0.880 0.238
O 0.698 0.788 0.761
O 0.704 0.453 0.712
O 0.711 0.154 0.909
O 0.726 0.135 0.592
O 0.744 0.957 0.886
O 0.749 0.296 0.712
O 0.754 0.634 0.762
O 0.776 0.943 0.575
O 0.786 0.414 0.293
O 0.787 0.744 0.114
O 0.788 0.091 0.239
O 0.833 0.776 0.425
O 0.846 0.557 0.909
O 0.865 0.591 0.592
O 0.879 0.920 0.796
O 0.880 0.246 0.762
O 0.892 0.386 0.084
O 0.909 0.698 0.239
O 0.920 0.041 0.204
O 0.920 0.380 0.399
O 0.943 0.167 0.425
O 0.957 0.213 0.114
O 0.959 0.879 0.204
O 0.968 0.545 0.256

~~~~~

VASP calculation (GGA+U) on a relaxed structure of LiCrPO4. Values from VASP.

calculated formation energy = -2531 meV per atom
raw total energy = -7.105 eV per atom

Structure (Quantum ESPRESSO input):
```
&SYSTEM
  ibrav = 0, nat = 28, ntyp = 4
/
ATOMIC_SPECIES
Li 6.94 Li.upf
Cr 52.00 Cr.upf
P 30.97 P.upf
O 16.00 O.upf
ATOMIC_POSITIONS crystal
Li 0.083 0.362 0.176
Li 0.091 0.834 0.205
Li 0.909 0.166 0.795
Li 0.917 0.638 0.824
Cr 0.295 0.638 0.573
Cr 0.485 0.900 0.776
Cr 0.515 0.100 0.224
Cr 0.705 0.362 0.427
P 0.208 0.184 0.514
P 0.345 0.273 0.889
P 0.655 0.727 0.111
P 0.792 0.816 0.486
O 0.037 0.759 0.426
O 0.213 0.499 0.808
O 0.229 0.087 0.865
O 0.231 0.207 0.348
O 0.292 0.941 0.605
O 0.309 0.247 0.057
O 0.365 0.335 0.539
O 0.404 0.741 0.170
O 0.596 0.259 0.830
O 0.635 0.665 0.461
O 0.691 0.753 0.943
O 0.708 0.059 0.395
O 0.769 0.793 0.652
O 0.771 0.913 0.135
O 0.787 0.501 0.192
O 0.963 0.241 0.574
CELL_PARAMETERS angstrom
5.991 0.000 0.000
0.989 6.426 0.000
1.465 3.057 9.098
```
~~~
**Response:**
Here is an optimized crystal structure of Mn5PbS6O24 from the Materials Project. Energies are from PBE+U.

The value obtained for the calculated total energy is -0.246 hartree per atom. Its symmetry is P-3, No. 147. As for the total magnetization: 0.698 μB per atom. The calculation puts the formation enthalpy at 0 K at -2026 meV per atom.

a = 14.861 Å, b = 14.861 Å, c = 7.612 Å
α = 90.00°, β = 90.00°, γ = 120.00°
Fractional coordinates of all 108 atoms:
Mn 0.000 0.000 0.000
Mn 0.003 0.348 0.966
Mn 0.003 0.681 0.453
Mn 0.319 0.322 0.453
Mn 0.322 0.003 0.547
Mn 0.333 0.667 0.498
Mn 0.345 0.997 0.966
Mn 0.348 0.345 0.034
Mn 0.652 0.655 0.966
Mn 0.655 0.003 0.034
Mn 0.667 0.333 0.502
Mn 0.678 0.997 0.453
Mn 0.681 0.678 0.547
Mn 0.997 0.319 0.547
Mn 0.997 0.652 0.034
Pb 0.000 0.000 0.500
Pb 0.333 0.667 0.002
Pb 0.667 0.333 0.998
S 0.097 0.870 0.757
S 0.108 0.570 0.740
S 0.130 0.227 0.757
S 0.206 0.440 0.257
S 0.227 0.097 0.243
S 0.235 0.794 0.257
S 0.430 0.538 0.740
S 0.440 0.235 0.743
S 0.462 0.892 0.740
S 0.538 0.108 0.260
S 0.560 0.765 0.257
S 0.570 0.462 0.260
S 0.765 0.206 0.743
S 0.773 0.903 0.757
S 0.794 0.560 0.743
S 0.870 0.773 0.243
S 0.892 0.430 0.260
S 0.903 0.130 0.243
O 0.032 0.455 0.744
O 0.041 0.121 0.796
O 0.043 0.787 0.886
O 0.057 0.833 0.575
O 0.080 0.620 0.601
O 0.080 0.959 0.796
O 0.091 0.302 0.761
O 0.108 0.614 0.916
O 0.120 0.754 0.238
O 0.121 0.080 0.204
O 0.135 0.409 0.408
O 0.154 0.443 0.091
O 0.167 0.224 0.575
O 0.212 0.909 0.761
O 0.213 0.256 0.886
O 0.214 0.586 0.707
O 0.224 0.057 0.425
O 0.246 0.366 0.238
O 0.251 0.704 0.288
O 0.256 0.043 0.114
O 0.274 0.865 0.408
O 0.289 0.846 0.091
O 0.296 0.547 0.288
O 0.302 0.212 0.239
O 0.366 0.120 0.762
O 0.372 0.786 0.707
O 0.380 0.460 0.601
O 0.386 0.494 0.916
O 0.409 0.274 0.592
O 0.414 0.628 0.707
O 0.423 0.968 0.744
O 0.443 0.289 0.909
O 0.453 0.749 0.288
O 0.455 0.423 0.256
O 0.460 0.080 0.399
O 0.494 0.108 0.084
O 0.506 0.892 0.916
O 0.540 0.920 0.601
O 0.545 0.577 0.744
O 0.547 0.251 0.712
O 0.557 0.711 0.091
O 0.577 0.032 0.256
O 0.586 0.372 0.293
O 0.591 0.726 0.408
O 0.614 0.506 0.084
O 0.620 0.540 0.399
O 0.628 0.214 0.293
O 0.634 0.880 0.238
O 0.698 0.788 0.761
O 0.704 0.453 0.712
O 0.711 0.154 0.909
O 0.726 0.135 0.592
O 0.744 0.957 0.886
O 0.749 0.296 0.712
O 0.754 0.634 0.762
O 0.776 0.943 0.575
O 0.786 0.414 0.293
O 0.787 0.744 0.114
O 0.788 0.091 0.239
O 0.833 0.776 0.425
O 0.846 0.557 0.909
O 0.865 0.591 0.592
O 0.879 0.920 0.796
O 0.880 0.246 0.762
O 0.892 0.386 0.084
O 0.909 0.698 0.239
O 0.920 0.041 0.204
O 0.920 0.380 0.399
O 0.943 0.167 0.425
O 0.957 0.213 0.114
O 0.959 0.879 0.204
O 0.968 0.545 0.256

~~~~~

VASP calculation (GGA+U) on a relaxed structure of LiCrPO4. Values from VASP.

calculated formation energy = -2531 meV per atom
raw total energy = -7.105 eV per atom

Structure (Quantum ESPRESSO input):
```
&SYSTEM
  ibrav = 0, nat = 28, ntyp = 4
/
ATOMIC_SPECIES
Li 6.94 Li.upf
Cr 52.00 Cr.upf
P 30.97 P.upf
O 16.00 O.upf
ATOMIC_POSITIONS crystal
Li 0.083 0.362 0.176
Li 0.091 0.834 0.205
Li 0.909 0.166 0.795
Li 0.917 0.638 0.824
Cr 0.295 0.638 0.573
Cr 0.485 0.900 0.776
Cr 0.515 0.100 0.224
Cr 0.705 0.362 0.427
P 0.208 0.184 0.514
P 0.345 0.273 0.889
P 0.655 0.727 0.111
P 0.792 0.816 0.486
O 0.037 0.759 0.426
O 0.213 0.499 0.808
O 0.229 0.087 0.865
O 0.231 0.207 0.348
O 0.292 0.941 0.605
O 0.309 0.247 0.057
O 0.365 0.335 0.539
O 0.404 0.741 0.170
O 0.596 0.259 0.830
O 0.635 0.665 0.461
O 0.691 0.753 0.943
O 0.708 0.059 0.395
O 0.769 0.793 0.652
O 0.771 0.913 0.135
O 0.787 0.501 0.192
O 0.963 0.241 0.574
CELL_PARAMETERS angstrom
5.991 0.000 0.000
0.989 6.426 0.000
1.465 3.057 9.098
```